+++
Record 1
BaSrTbSbO6 | Materials Project | PBE | relaxed; distance to the lowest polymorph of the same formula = 0.001 eV/atom
1.0
8.468 0.000 0.000
0.000 8.466 0.000
0.000 0.000 8.461
O Ba Sb Tb Sr
24 4 4 4 4
Direct
0.774 0.514 0.718 O
0.487 0.282 0.777 O
0.226 0.514 0.282 O
0.226 0.486 0.718 O
0.767 0.727 0.987 O
0.279 0.014 0.775 O
0.281 0.221 0.515 O
0.721 0.986 0.775 O
0.016 0.229 0.731 O
0.721 0.014 0.225 O
0.513 0.718 0.777 O
0.016 0.771 0.269 O
0.513 0.282 0.223 O
0.984 0.229 0.269 O
0.279 0.986 0.225 O
0.233 0.273 0.987 O
0.774 0.486 0.282 O
0.281 0.779 0.485 O
0.233 0.727 0.013 O
0.767 0.273 0.013 O
0.719 0.779 0.515 O
0.984 0.771 0.731 O
0.719 0.221 0.485 O
0.487 0.718 0.223 O
0.000 0.000 0.000 Ba
0.000 0.500 0.000 Ba
0.000 0.000 0.500 Ba
0.500 0.500 0.500 Ba
0.253 0.749 0.250 Sb
0.253 0.251 0.750 Sb
0.747 0.749 0.750 Sb
0.747 0.251 0.250 Sb
0.748 0.750 0.251 Tb
0.252 0.250 0.251 Tb
0.748 0.250 0.749 Tb
0.252 0.750 0.749 Tb
0.000 0.500 0.500 Sr
0.500 0.500 0.000 Sr
0.500 0.000 0.000 Sr
0.500 0.000 0.500 Sr

=====

Record 2
LuI3O10 | Materials Project | PBE | relaxed; distance to the lowest polymorph of the same formula = 0.000 eV/atom
1.0
2.847 13.966 0.000
-2.847 13.966 0.000
0.000 1.964 11.827
O Lu I
40 4 12
Direct
0.014 0.870 0.801 O
0.239 0.273 0.551 O
0.497 0.378 0.783 O
0.761 0.727 0.449 O
0.195 0.804 0.407 O
0.622 0.503 0.717 O
0.591 0.730 0.314 O
0.503 0.622 0.217 O
0.801 0.763 0.219 O
0.944 0.826 0.063 O
0.907 0.780 0.379 O
0.220 0.093 0.121 O
0.727 0.761 0.949 O
0.804 0.195 0.907 O
0.338 0.391 0.953 O
0.093 0.220 0.621 O
0.056 0.174 0.937 O
0.378 0.497 0.283 O
0.196 0.805 0.093 O
0.780 0.907 0.879 O
0.174 0.056 0.437 O
0.130 0.986 0.699 O
0.826 0.944 0.563 O
0.763 0.801 0.719 O
0.662 0.609 0.047 O
0.273 0.239 0.051 O
0.199 0.237 0.781 O
0.391 0.338 0.453 O
0.270 0.409 0.186 O
0.805 0.196 0.593 O
0.375 0.743 0.912 O
0.609 0.662 0.547 O
0.237 0.199 0.281 O
0.743 0.375 0.412 O
0.870 0.014 0.301 O
0.409 0.270 0.686 O
0.986 0.130 0.199 O
0.257 0.625 0.588 O
0.625 0.257 0.088 O
0.730 0.591 0.814 O
0.880 0.292 0.571 Lu
0.120 0.708 0.429 Lu
0.708 0.120 0.929 Lu
0.292 0.880 0.071 Lu
0.593 0.978 0.847 I
0.022 0.407 0.653 I
0.094 0.573 0.059 I
0.610 0.208 0.235 I
0.792 0.390 0.265 I
0.390 0.792 0.765 I
0.906 0.427 0.941 I
0.208 0.610 0.735 I
0.427 0.906 0.441 I
0.978 0.593 0.347 I
0.407 0.022 0.153 I
0.573 0.094 0.559 I

=====

Record 3
Here is a geometry-optimized Ca5Ga6O14 structure from Materials Project. Energies are from PBE.

```
Ca5Ga6O14
1.0
-4.481 6.784 -0.478
-6.602 -4.426 1.776
1.587 1.776 10.326
Ga O Ca
12 28 10
Direct
0.352 0.841 0.979 Ga
0.000 0.000 0.467 Ga
0.211 0.498 0.010 Ga
0.502 0.789 0.510 Ga
0.700 0.700 0.944 Ga
0.000 0.000 0.967 Ga
0.300 0.300 0.444 Ga
0.159 0.648 0.479 Ga
0.498 0.211 0.010 Ga
0.648 0.159 0.479 Ga
0.841 0.352 0.979 Ga
0.789 0.502 0.510 Ga
0.011 0.011 0.638 O
0.511 0.190 0.837 O
0.147 0.147 0.379 O
0.237 0.706 0.093 O
0.808 0.061 0.380 O
0.939 0.192 0.880 O
0.298 0.298 0.617 O
0.435 0.008 0.085 O
0.810 0.489 0.337 O
0.190 0.511 0.837 O
0.702 0.702 0.117 O
0.706 0.237 0.093 O
0.763 0.294 0.593 O
0.061 0.808 0.380 O
0.387 0.387 0.076 O
0.489 0.810 0.337 O
0.989 0.989 0.138 O
0.992 0.565 0.585 O
0.749 0.499 0.869 O
0.613 0.613 0.576 O
0.192 0.939 0.880 O
0.853 0.853 0.879 O
0.565 0.992 0.585 O
0.251 0.501 0.369 O
0.008 0.435 0.085 O
0.499 0.749 0.869 O
0.501 0.251 0.369 O
0.294 0.763 0.593 O
0.742 0.059 0.750 Ca
0.328 0.042 0.702 Ca
0.958 0.672 0.202 Ca
0.258 0.941 0.250 Ca
0.473 0.473 0.747 Ca
0.059 0.742 0.750 Ca
0.941 0.258 0.250 Ca
0.042 0.328 0.702 Ca
0.527 0.527 0.247 Ca
0.672 0.958 0.202 Ca
```

=====

Record 4
Here is a geometry-optimized ZnCu2SnSe2S2 structure from Materials Project. Energies are from PBE.

```
ZnCu2SnSe2S2
1.0
-0.048 3.311 6.036
-4.162 -0.436 5.441
2.138 -2.945 4.251
S Cu Sn Zn Se
2 2 1 1 2
Direct
0.893 0.379 0.107 S
0.379 0.893 0.621 S
0.239 0.239 0.261 Cu
0.739 0.739 0.761 Cu
0.506 0.506 0.494 Sn
0.009 0.009 0.991 Zn
0.106 0.628 0.372 Se
+++

What is needed: copy the block earlier on verbatim.

Record 1
BaSrTbSbO6 | Materials Project | PBE | relaxed; distance to the lowest polymorph of the same formula = 0.001 eV/atom
1.0
8.468 0.000 0.000
0.000 8.466 0.000
0.000 0.000 8.461
O Ba Sb Tb Sr
24 4 4 4 4
Direct
0.774 0.514 0.718 O
0.487 0.282 0.777 O
0.226 0.514 0.282 O
0.226 0.486 0.718 O
0.767 0.727 0.987 O
0.279 0.014 0.775 O
0.281 0.221 0.515 O
0.721 0.986 0.775 O
0.016 0.229 0.731 O
0.721 0.014 0.225 O
0.513 0.718 0.777 O
0.016 0.771 0.269 O
0.513 0.282 0.223 O
0.984 0.229 0.269 O
0.279 0.986 0.225 O
0.233 0.273 0.987 O
0.774 0.486 0.282 O
0.281 0.779 0.485 O
0.233 0.727 0.013 O
0.767 0.273 0.013 O
0.719 0.779 0.515 O
0.984 0.771 0.731 O
0.719 0.221 0.485 O
0.487 0.718 0.223 O
0.000 0.000 0.000 Ba
0.000 0.500 0.000 Ba
0.000 0.000 0.500 Ba
0.500 0.500 0.500 Ba
0.253 0.749 0.250 Sb
0.253 0.251 0.750 Sb
0.747 0.749 0.750 Sb
0.747 0.251 0.250 Sb
0.748 0.750 0.251 Tb
0.252 0.250 0.251 Tb
0.748 0.250 0.749 Tb
0.252 0.750 0.749 Tb
0.000 0.500 0.500 Sr
0.500 0.500 0.000 Sr
0.500 0.000 0.000 Sr
0.500 0.000 0.500 Sr

=====

Record 2
LuI3O10 | Materials Project | PBE | relaxed; distance to the lowest polymorph of the same formula = 0.000 eV/atom
1.0
2.847 13.966 0.000
-2.847 13.966 0.000
0.000 1.964 11.827
O Lu I
40 4 12
Direct
0.014 0.870 0.801 O
0.239 0.273 0.551 O
0.497 0.378 0.783 O
0.761 0.727 0.449 O
0.195 0.804 0.407 O
0.622 0.503 0.717 O
0.591 0.730 0.314 O
0.503 0.622 0.217 O
0.801 0.763 0.219 O
0.944 0.826 0.063 O
0.907 0.780 0.379 O
0.220 0.093 0.121 O
0.727 0.761 0.949 O
0.804 0.195 0.907 O
0.338 0.391 0.953 O
0.093 0.220 0.621 O
0.056 0.174 0.937 O
0.378 0.497 0.283 O
0.196 0.805 0.093 O
0.780 0.907 0.879 O
0.174 0.056 0.437 O
0.130 0.986 0.699 O
0.826 0.944 0.563 O
0.763 0.801 0.719 O
0.662 0.609 0.047 O
0.273 0.239 0.051 O
0.199 0.237 0.781 O
0.391 0.338 0.453 O
0.270 0.409 0.186 O
0.805 0.196 0.593 O
0.375 0.743 0.912 O
0.609 0.662 0.547 O
0.237 0.199 0.281 O
0.743 0.375 0.412 O
0.870 0.014 0.301 O
0.409 0.270 0.686 O
0.986 0.130 0.199 O
0.257 0.625 0.588 O
0.625 0.257 0.088 O
0.730 0.591 0.814 O
0.880 0.292 0.571 Lu
0.120 0.708 0.429 Lu
0.708 0.120 0.929 Lu
0.292 0.880 0.071 Lu
0.593 0.978 0.847 I
0.022 0.407 0.653 I
0.094 0.573 0.059 I
0.610 0.208 0.235 I
0.792 0.390 0.265 I
0.390 0.792 0.765 I
0.906 0.427 0.941 I
0.208 0.610 0.735 I
0.427 0.906 0.441 I
0.978 0.593 0.347 I
0.407 0.022 0.153 I
0.573 0.094 0.559 I

=====

Record 3
Here is a geometry-optimized Ca5Ga6O14 structure from Materials Project. Energies are from PBE.

```
Ca5Ga6O14
1.0
-4.481 6.784 -0.478
-6.602 -4.426 1.776
1.587 1.776 10.326
Ga O Ca
12 28 10
Direct
0.352 0.841 0.979 Ga
0.000 0.000 0.467 Ga
0.211 0.498 0.010 Ga
0.502 0.789 0.510 Ga
0.700 0.700 0.944 Ga
0.000 0.000 0.967 Ga
0.300 0.300 0.444 Ga
0.159 0.648 0.479 Ga
0.498 0.211 0.010 Ga
0.648 0.159 0.479 Ga
0.841 0.352 0.979 Ga
0.789 0.502 0.510 Ga
0.011 0.011 0.638 O
0.511 0.190 0.837 O
0.147 0.147 0.379 O
0.237 0.706 0.093 O
0.808 0.061 0.380 O
0.939 0.192 0.880 O
0.298 0.298 0.617 O
0.435 0.008 0.085 O
0.810 0.489 0.337 O
0.190 0.511 0.837 O
0.702 0.702 0.117 O
0.706 0.237 0.093 O
0.763 0.294 0.593 O
0.061 0.808 0.380 O
0.387 0.387 0.076 O
0.489 0.810 0.337 O
0.989 0.989 0.138 O
0.992 0.565 0.585 O
0.749 0.499 0.869 O
0.613 0.613 0.576 O
0.192 0.939 0.880 O
0.853 0.853 0.879 O
0.565 0.992 0.585 O
0.251 0.501 0.369 O
0.008 0.435 0.085 O
0.499 0.749 0.869 O
0.501 0.251 0.369 O
0.294 0.763 0.593 O
0.742 0.059 0.750 Ca
0.328 0.042 0.702 Ca
0.958 0.672 0.202 Ca
0.258 0.941 0.250 Ca
0.473 0.473 0.747 Ca
0.059 0.742 0.750 Ca
0.941 0.258 0.250 Ca
0.042 0.328 0.702 Ca
0.527 0.527 0.247 Ca
0.672 0.958 0.202 Ca
```

=====

Record 4
Here is a geometry-optimized ZnCu2SnSe2S2 structure from Materials Project. Energies are from PBE.

```
ZnCu2SnSe2S2
1.0
-0.048 3.311 6.036
-4.162 -0.436 5.441
2.138 -2.945 4.251
S Cu Sn Zn Se
2 2 1 1 2
Direct
0.893 0.379 0.107 S
0.379 0.893 0.621 S
0.239 0.239 0.261 Cu
0.739 0.739 0.761 Cu
0.506 0.506 0.494 Sn
0.009 0.009 0.991 Zn
0.106 0.628 0.372 Se